Why Judah loves MSUM
== Calculated molecules, as found in the file ==
┌──
ORCA calculation (the ωB97M-V functional and the def2-TZVPD basis) on 3 unconnected molecules or ions with the total composition C21H27N2O10.

Positions of all 60 atoms, in Å:
N1 -1.26444 1.30521 -0.02926
C1 -1.57906 1.21963 -1.46067
C2 -0.59729 0.36201 -2.32747
C3 -1.37691 -0.65777 -3.19175
N2 -0.99575 -2.09165 -2.92254
C4 -0.88021 -2.48152 -1.46954
C5 -0.06807 -1.45843 -0.66446
C6 0.51472 -0.37404 -1.56695
C7 1.51039 0.56523 -0.85579
C8 2.89589 0.64710 -1.55071
C9 3.98668 0.16747 -0.62766
O1 4.49118 -0.92681 -0.69273
O2 4.39172 1.08434 0.30711
H1 -0.92251 2.22394 0.21945
H2 -2.09769 1.16329 0.52535
H3 -2.59393 0.82964 -1.56178
H4 -1.61525 2.21952 -1.89988
H5 -0.10932 1.03974 -3.02937
H6 -1.18922 -0.49029 -4.25298
H7 -2.45377 -0.59436 -3.04556
H8 -0.13220 -2.32172 -3.41028
H9 -1.70962 -2.68670 -3.34328
H10 -0.38761 -3.45502 -1.46011
H11 -1.88920 -2.62442 -1.08774
H12 0.74980 -1.97132 -0.15677
H13 -0.69577 -1.01062 0.09926
H14 1.11010 -0.89955 -2.32691
H15 1.63192 0.21848 0.17358
H16 1.10077 1.56930 -0.77382
H17 2.94187 0.00046 -2.42787
H18 3.11556 1.66302 -1.87984
H19 3.63912 1.41955 0.81903
C10 -6.00884 -3.74471 0.36322
C11 -7.32477 -3.91853 0.14017
C12 -8.02104 -3.32275 -1.06421
O3 -9.20419 -3.54699 -1.18599
C13 -7.23753 -2.51603 -1.99166
C14 -5.93640 -2.34662 -1.75029
C15 -5.24132 -2.96947 -0.57090
O4 -4.03098 -2.77499 -0.48242
O5 -5.11760 -1.61523 -2.51249
O6 -8.10881 -4.61636 0.93140
H20 -5.50164 -4.17457 1.21509
H21 -7.74240 -2.07452 -2.83915
H22 -4.26995 -1.64771 -2.03181
H23 -9.00620 -4.59411 0.54383
C16 4.55997 3.96128 4.36745
C17 5.55479 4.54163 5.05553
C18 7.00474 4.20469 4.80473
O7 7.82730 4.79764 5.47447
C19 7.31873 3.21228 3.79772
C20 6.32641 2.62805 3.10991
C21 4.87573 2.97966 3.35463
O8 4.02696 2.41748 2.67894
O9 6.54638 1.71467 2.17733
O10 5.36552 5.44790 5.99641
H24 3.51992 4.19848 4.53984
H25 8.35858 2.97065 3.63029
H26 5.69083 1.43587 1.80027
H27 6.25390 5.69862 6.31964

Computed properties:
- HOMO-LUMO gap (eV) = 6.987
- lowest unoccupied orbital energy (eV) = -4.0500
- E_HOMO (eV) = -11.037
- net charge = +1
- energy above the lowest of the compared OMol25 structures with the same formula, charge and spin (eV) = 0.098

=====

ORCA calculation (the ωB97M-V functional and the def2-TZVPD basis) on a single C21H27N3O3 molecule.

Positions of all 54 atoms, in Å:
C1 2.65401 2.50889 0.25101
H1 2.07347 3.39353 0.01185
H2 3.53383 2.82629 0.80383
H3 2.97022 2.02684 -0.67232
C2 1.82545 1.53376 1.10157
C3 2.64480 0.31199 1.36966
C4 2.17514 -0.96586 1.39848
C5 3.26762 -1.81864 1.72549
C6 3.41501 -3.19427 1.89730
C7 4.65869 -3.68460 2.22548
C8 5.75729 -2.83584 2.38706
C9 5.64070 -1.47185 2.22376
C10 4.39010 -0.96883 1.89208
N1 3.98434 0.31788 1.66909
H4 4.57399 1.12952 1.72572
H5 6.49026 -0.81649 2.34952
H6 6.71609 -3.26024 2.64560
H7 4.79586 -4.74700 2.36367
H8 2.56909 -3.85401 1.77656
C11 0.74898 -1.23436 1.10411
H9 0.59319 -2.24188 0.72000
H10 0.13929 -1.13414 2.00733
C12 0.25066 -0.22999 0.05514
N2 0.58635 1.15767 0.37039
└──
== Here the text continues ==
It's Welcome Week, and the last required event on our schedule is the Academic Welcome. "Oh good, a seminar," I thought to myself. As a transfer student, this is the second university welcome week I've attended, and I must admit I wasn't a fan of the first one. Walking over to the Center for the Arts, I hear a beat, a loud rhythm in the distance. Cheers echo as I get closer. The doors are open, and as I walk into the building, I am surrounded by other students. To my right and left, professors are clapping, cheering, and shouting encouragement, lining a path to the Hansen Theater. It's electric. With a grin on my face, I sit down and the program begins.
"We start every student's journey at Minnesota State University Moorhead in the way that we end it, with every professor congratulating you and cheering you on," President Anne Blackhurst says.
== Someone pasted quantum chemistry results at this point ==
........
No. 1
Entry from the Open Molecules 2025 dataset: C47H38Cl2NO5OsP2S as an isolated structure in a non-equilibrium geometry (wB97M-V/def2-TZVPD).

Geometry as XYZ:
```
97
Properties=species:S:1:pos:R:3:forces:R:3
Os -0.117630 0.160086 0.366541 0.0 0.0 -0.5
C -2.828331 1.412322 1.859713 0.5 0.1 0.0
P -2.458090 0.213681 0.482978 0.3 -0.5 -0.3
C -3.221259 -1.359950 1.077330 0.3 0.1 -0.1
C -2.219412 -2.482647 1.397641 0.3 0.0 -0.5
C -2.743433 -3.825503 1.473985 -0.9 -0.3 0.1
C -4.083182 -4.054946 1.400074 1.0 -0.4 0.1
C -4.986312 -3.034507 1.011303 -0.1 1.1 -0.2
C -4.569091 -1.758361 0.776392 -0.6 -0.8 0.1
C -3.586226 0.786784 -0.823374 0.2 0.0 0.1
C -4.881369 1.207068 -0.521190 0.2 0.0 -0.1
C -5.737409 1.587306 -1.536397 -0.1 0.1 0.1
C -5.297889 1.573999 -2.851783 0.0 0.0 0.0
C -4.006985 1.173941 -3.155036 -0.1 0.1 -0.1
C -3.150348 0.776193 -2.143957 0.1 -0.1 0.2
C -1.517442 1.862895 2.429379 -0.3 -1.6 -1.6
C -1.228850 2.735813 3.455122 2.2 1.3 1.7
C 0.178633 2.742061 3.606548 -2.5 1.4 1.2
C 0.686376 1.874139 2.671041 0.6 -1.7 -1.3
C 2.069553 1.356179 2.466926 -0.3 0.3 -0.2
P 2.171762 0.572616 0.790094 0.3 -0.1 -0.3
C 3.468187 -0.684154 0.933982 -0.2 0.1 0.0
C 4.490729 -0.560033 1.867296 -0.1 0.0 -0.2
C 5.488488 -1.515434 1.922119 0.1 0.0 0.1
C 5.471228 -2.589607 1.048125 0.0 -0.1 -0.1
C 4.439631 -2.726226 0.134465 0.1 0.0 -0.1
C 3.429921 -1.782626 0.081510 0.0 0.2 0.0
C 2.978932 1.871986 -0.202076 -0.1 -0.1 0.1
C 4.086545 1.615783 -1.002955 -0.1 -0.1 0.2
C 4.595619 2.612948 -1.816796 0.1 0.1 -0.1
C 4.004128 3.865023 -1.833346 0.1 0.0 -0.1
C 2.893942 4.122108 -1.042749 -0.1 0.1 0.0
C 2.376052 3.127053 -0.238232 0.1 -0.1 0.0
N -0.348216 1.354130 1.930433 0.0 0.3 0.3
H -3.433004 0.918762 2.630726 0.1 0.1 0.0
H -3.393584 2.263343 1.467990 0.1 0.0 0.1
H -1.193087 -2.357632 1.048535 -0.1 0.1 0.2
H -2.047154 -4.627493 1.666715 0.1 -0.1 -0.1
H -4.464747 -5.053327 1.543609 0.0 -0.1 0.0
H -6.021802 -3.290303 0.847568 -0.1 0.0 -0.1
H -5.247513 -1.026015 0.365257 -0.1 -0.1 0.0
H -5.215902 1.237020 0.507425 -0.1 0.0 0.0
H -6.744584 1.899626 -1.300026 -0.1 0.0 0.0
H -5.965896 1.887069 -3.638605 -0.1 0.0 -0.1
H -3.664359 1.180796 -4.179216 0.0 0.0 -0.1
H -2.135590 0.472078 -2.365563 0.1 0.0 0.0
H -1.940332 3.286928 4.035307 -0.2 0.1 0.1
H 0.745026 3.313725 4.311934 0.1 0.1 0.2
H 2.260453 0.554086 3.188835 -0.1 0.0 0.0
H 2.822785 2.139394 2.581950 -0.1 0.0 0.2
H 4.513485 0.283350 2.542966 0.1 0.1 0.1
H 6.282397 -1.419856 2.648829 0.1 0.0 0.0
H 6.262963 -3.323936 1.080930 0.0 -0.1 0.0
H 4.420106 -3.570838 -0.536564 0.0 -0.1 0.0
H 2.596433 -1.903160 -0.598074 0.0 0.0 0.0
H 4.550370 0.638056 -0.990154 0.0 0.0 0.0
H 5.452581 2.408995 -2.443933 0.0 0.0 0.0
H 4.398808 4.637313 -2.476960 0.0 0.1 0.0
H 2.425210 5.095298 -1.068742 0.0 0.1 0.0
H 1.491256 3.307296 0.360417 -0.1 0.1 0.0
Cl -0.719211 -3.550500 7.909765 -0.1 -0.1 0.3
C -0.197859 -3.269665 6.285442 0.0 0.1 -0.3
C 0.426586 -4.288141 5.581742 -0.1 0.0 0.1
C 0.867099 -4.049548 4.293508 -0.1 0.2 0.0
........
== Back to the article ==
B.S. in Integrated Advertising & Public Relations
This story is at the core of my student experience at MSUM: faculty supporting and encouraging me every step of my college journey.
I graduated high school in 2018 (I was 17) and went to community college, mostly because that's what most people I knew did after graduation. I had an idea of what I enjoyed, computer science and psychology, but quickly found out that I didn't want to work in either of those fields for the rest of my life.
"This story is at the core of my student experience at MSUM: faculty supporting and encouraging me every step of my college journey."
I spent the next three years bouncing between jobs I didn't enjoy, trying to find something that I could make a career out of. After two of those years, I decided to apply for college at MSUM, because it was close to friends and between the two places I grew up in.
I came here in 2022 majoring in audio production and entertainment management, but really wanted to explore classes and topics to see what would stick. My advisor, Ryan Jackson, encouraged me along the way even as I switched my major, and subsequently my advisor. That's when I started studying integrated advertising and public relations. I was intrigued when Kay Beckermann, professor of advertising and public relations, came to a class I was attending to promote an on-campus advertising agency called Flypaper Creative Services.
I wasn't a fan of one of my classes, and Flypaper, which is also a class, was at the exact same time, so I figured I'd switch and see what it was all about. It was my experience at Flypaper that sold me on the major, and more importantly, the department.
Kay had unwavering faith in me, even though I'd never taken an advertising or public relations class before, and honestly couldn't tell the difference between them. She believed in me, in my abilities that had never been shown to her, and was determined to see me succeed. Kay is always in the business of setting her students up with opportunities and instilling in them the confidence to succeed. Kay has been the light that's gone ahead of me, encouraging me to keep going, and showing me the many directions that my path could go.
While I've been taking classes, all of the professors I've run into have built up my abilities and confidence, cheering me on in my successes and guiding my path through higher education.
These data records were left in the entry by mistake >
- - -
Entry A
# C6H8ClN

A structure of composition C6H8ClN (ωB97M-V/def2-TZVPD, OMol25).

Frontier orbital gap = 10.58 eV

Geometry as ORCA input:
```
! RIJCOSX wB97M-V def2-TZVPD def2/J DEFGRID3
* xyz 0 1
C 0.53452 0.62408 -0.83294
H -1.50191 1.52140 -0.53647
C -0.94848 0.57518 -0.55171
C 1.04571 -0.33205 0.23431
H -0.42025 -0.93238 -2.19361
N 0.01063 -1.42046 0.17607
H 0.37643 1.39193 1.66139
H -0.57891 0.79191 -2.68112
Cl 0.74507 -0.43214 3.04800
C -0.34814 0.13406 -1.87234
H 1.10687 1.53168 -0.96080
C -0.86733 -0.34829 0.70936
H 2.03874 -0.66354 0.20326
H -1.73906 -0.63433 1.22524
H 0.19968 -2.13728 0.90214
C 0.34643 0.33024 1.46924
*
```

Entry B
# C6H8ClN

A structure of composition C6H8ClN (ωB97M-V/def2-TZVPD, OMol25).

Frontier orbital gap = 10.11 eV

Geometry as ORCA input:
```
! RIJCOSX wB97M-V def2-TZVPD def2/J DEFGRID3
* xyz 0 1
H -1.82360 1.17224 -0.64075
H -1.10417 -1.09183 1.66373
H 1.21266 -1.59127 0.63664
H 0.56155 1.15480 1.85733
H -0.80534 -1.76020 -1.02737
C -0.78788 -0.68259 -0.73789
Cl 3.20337 -0.13933 -0.03256
C -1.84337 0.19215 -0.14792
C 0.39518 0.50789 0.90891
N 0.53070 1.37302 -0.29921
H 1.58230 1.74625 -0.24112
H 0.89669 0.18091 -2.00643
C -0.90965 -0.38454 0.74822
H -2.89967 -0.25297 0.11743
C 1.27291 -0.44685 0.22096
C 0.51831 0.02234 -1.01994
*
```

Entry C
# C6H8ClN

The molecule C6H8ClN (ωB97M-V/def2-TZVPD, OMol25).

SMILES = N[C@@]12CC=C[C@@H]1[C@H]2Cl
Frontier orbital gap = 9.24 eV

Geometry as ORCA input:
```
! RIJCOSX wB97M-V def2-TZVPD def2/J DEFGRID3
* xyz 0 1
H 0.41412 2.00366 -1.18588
C 1.34230 -0.43923 0.74753
H -0.80211 1.08845 1.66502
H -1.57342 -2.25808 -0.70472
N 0.90228 1.64938 -0.42546
C 0.29912 0.48520 0.11583
C -1.01001 0.74075 0.66213
H 1.84664 1.23753 -0.93365
C -1.05189 -1.31166 -0.48370
C 0.32073 -0.86352 -0.58565
H -1.48375 1.60470 0.08096
Cl 2.95558 -0.45068 0.17093
H -2.83984 -0.67436 0.37897
C -1.77843 -0.54832 0.40161
H 1.42500 -1.35815 1.60812
H 1.03369 -0.90567 -1.51206
*
```

Pick entry A: it beats the second-best structure by 1.507 eV.
- - -
Theresa Hest, a professor in the School of Communications & Journalism, was one of the first professors I met and got to know. She is so warm and encouraging and is the only professor I can legally call my friend (thanks to a contract I made in her class, which we both signed). She's steadily been a lamppost I look back on with fond memories, and appreciation for the ways she gave me peace of mind when I hopped off the beaten path to blaze my own trail, and start my college journey.
"The culture of Minnesota State University Moorhead truly is one of encouragement, celebration, and inspiration."
I've had the pleasure of being in several of Chris Walker's classes, as well as getting to know him outside of academics. He was the first one to recognize and instill in me a knack for writing. Chris is the campfire where I find rest on my journey, and he has taught me that the fire of blunt criticism could either burn me, or be channeled into a torch that allows me to see clearly, guiding me forward. Without his encouragement, and unwaveringly honest criticism, I wouldn't be the writer I am today.
These are just three of the many faculty members who have made an impact on me, and I know there will be plenty more to write about by the time I graduate.
The culture of Minnesota State University Moorhead truly is one of encouragement, celebration, and inspiration to push past the difficult times to truly grow, in character and academics. I am grateful to be at a university with faculty and friends who consistently believe in me and cheer me on.
I look forward with eager anticipation to the day I get to walk into my last event as a student, in the same way I did the first: with every professor in the university clapping, cheering, and shouting encouragement.
Transfer Student Admissions
More than one-third of our undergraduates are transfer students from other schools. We are excited for you to bring your knowledge and experiences from previous institutions to grow as a leader at MSUM. Be sure to connect with an admissions representative to direct you to services and resources.
Transfer to MSUM